American Evangelicals: A Contemporary History of a Mainstream Religious Movement
Professor of history and church-state studies and graduate program director Dr. Barry G. Hankins, BA '78, MA '83, puts the Evangelical movement in historical perspective, taking on key topics such as the standing of science, the authority of scripture, and gender and racial equality. Hankins analyzes what is most essential for us to understand today about this potent movement.
Rowman & Littlefield, 2008--224 pages
Case Studies in Sport Law
Dr. Andrew T. Pittman, BS '68, professor of health, human performance and recreation, and his co-authors provide an inside view of some of the most significant cases in sport law history--while dispensing with the legal jargon. The book is an ideal supplement for non-law students who want to understand the legal issues without having to wade through the legalese or needing a law school background to understand the cases.
Human Kinetics Publishers, 2008--352 pages
Can These Bones Live?: A Catholic Baptist Engagement with Ecclesiology, Hermeneutics, and Social Theory
Dr. Barry Harvey, professor of theology in the Honors College, sees in the valley of dry bones of Ezekiel 37 a metaphor for the state of the church today: fragmented and scattered--dismembered--in its life and witness. By recovering and reinvigorating core ecclesial practices, Harvey has hope that the church can be re-membered into the earthly-historical form of the crucified and risen Christ that it is intended to be.
Baker Academic, 2008--304 pages
• These data records were left in the article by mistake:
/*
[1]
Structure and calculated powder XRD pattern of Bi2Pd4S (DFT lattice parameters and positions (PBE); λ = 1.5418 Å (Cu Kα)).
Lines closer than 0.1° are merged.

Structure:
Cell: 4.4510 4.4510 15.3440 Å, 90.00 90.00 90.00°
Space group I4/mmm (No. 139)
Inequivalent atoms, fractional coordinates:
Bi (0.0000, 0.0000, 0.1697) [4 per cell]
Pd (0.0000, 0.0000, 0.3488) [4 per cell]
Pd (0.0000, 0.5000, 0.0000) [4 per cell]
S (0.0000, 0.0000, 0.5000) [2 per cell]

Most intense lines, 10 to 80 degrees two-theta, low angle first:
2θ = 26.55°, d 3.358, intensity 36, (1 0 3); 2θ = 28.36°, d 3.147, intensity 54, (1 1 0); 2θ = 30.70°, d 2.912, intensity 100, (1 1 2); 2θ = 35.09°, d 2.557, intensity 55, (0 0 6); 2θ = 36.94°, d 2.433, intensity 78, (1 1 4); 2θ = 40.53°, d 2.226, intensity 81, (2 0 0); 2θ = 54.67°, d 1.679, intensity 62, (2 0 6); 2θ = 70.23°, d 1.340, intensity 29, (2 2 6)

***

[2]
Structure and calculated powder XRD pattern of BiPd8S2 (DFT lattice parameters and positions (PBE); λ = 1.5418 Å (Cu Kα)).
Lines closer than 0.1° are merged.

Structure:
Cell: 14.6611 5.4939 4.8307 Å, 90.00 108.81 90.00°
Space group C2/m (No. 12)
Inequivalent atoms, fractional coordinates:
Bi (0.0000, 0.0000, 0.0000) [2 per cell]
Pd (0.0978, 0.2516, 0.5986) [8 per cell]
Pd (0.0996, 0.5000, 0.1005) [4 per cell]
Pd (0.2142, 0.0000, 0.2143) [4 per cell]
S (0.2332, 0.0000, 0.7327) [4 per cell]

Most intense lines, 10 to 80 degrees two-theta, low angle first:
2θ = 35.71°, d 2.514, intensity 21, (3 1 1); 2θ = 35.92°, d 2.500, intensity 20, (5 1 -1); 2θ = 36.26°, d 2.477, intensity 41, (5 1 0); 2θ = 37.23°, d 2.415, intensity 73, (2 0 -2); 2θ = 38.25°, d 2.353, intensity 100, (2 2 -1); 2θ = 41.95°, d 2.154, intensity 20, (4 2 0); 2θ = 52.76°, d 1.735, intensity 16, (3 1 2); 2θ = 67.80°, d 1.382, intensity 18, (4 2 -3)

***

[3]
Structure and calculated powder XRD pattern of BiSbPd6 (DFT lattice parameters and positions (PBE); λ = 1.5418 Å (Cu Kα)).
Lines closer than 0.1° are merged.

Structure:
Cell: 8.2309 8.2404 4.0624 Å, 90.00 90.00 90.00°
Space group Cmmm (No. 65)
Inequivalent atoms, fractional coordinates:
Bi (0.0000, 0.0000, 0.0000) [2 per cell]
Sb (0.0000, 0.5000, 0.0000) [2 per cell]
Pd (0.0000, 0.2556, 0.5000) [4 per cell]
Pd (0.2423, 0.5000, 0.5000) [4 per cell]
Pd (0.2500, 0.2500, 0.0000) [4 per cell]

Most intense lines, 10 to 80 degrees two-theta, low angle first:
2θ = 26.76°, d 3.332, intensity 3, (1 1 1); 2θ = 38.02°, d 2.367, intensity 100, (2 2 1); 2θ = 43.98°, d 2.059, intensity 33, (0 4 0); 2θ = 44.61°, d 2.031, intensity 16, (0 0 2); 2θ = 63.95°, d 1.456, intensity 11, (4 4 0); 2θ = 64.44°, d 1.446, intensity 21, (0 4 2); 2θ = 76.88°, d 1.240, intensity 25, (2 6 1); 2θ = 77.78°, d 1.228, intensity 12, (2 2 3)

=====

# 1
Starting from a GGA-PBE-relaxed structure, the XRD peak list of Cr2Te6Rh was computed for Cu Kα (weighted mean of Kα1 and Kα2).
Peak positions follow from Bragg's law for the DFT cell and can differ from measured ones.

Crystal structure
*/
Statistics: An Introduction
Distinguished Professor of Psychology and Statistics and Master Teacher Dr. Roger E. Kirk has released a completely updated fifth edition to provide a sound introduction to descriptive and inferential statistics and to help students read and understand statistical presentations in their field. Kirk supplies guidelines to help students decide when to use various procedures, and how to understand the logic of the procedures.
Thompson Wadsworth, 2008--672 pages
Witness to the Truth: Lessons Learned by a Veteran Journalist Through Four Decades of Watching the Church
Louis Moore, BA '68, has had one of the most varied and influential careers of any religion journalist today. His new book, designed to help readers better understand their own local church bodies and their roles in them, identifies 26 core "truths" that apply to a variety of religious groups regardless of their persuasion.
Hannibal Books, 2008--351 pages